<<<
MnCl2O2: theoretical X-ray diffraction stick pattern (Cu Kα (λ = 1.5418 Å)), based on a DFT-relaxed cell (GGA+U, the Materials Project).
Neutral-atom scattering factors, no anomalous dispersion.

Cell and atoms:
a = 7.119 Å, b = 7.320 Å, c = 3.643 Å
α = 90.00°, β = 100.67°, γ = 90.00°
Sites, in units of the cell vectors:
Mn: 0.000 0.000 0.000
Mn: 0.500 0.500 0.000
Cl: 0.245 0.000 0.558
Cl: 0.255 0.500 0.442
Cl: 0.745 0.500 0.558
Cl: 0.755 0.000 0.442
O: 0.000 0.239 0.000
O: 0.000 0.761 0.000
O: 0.500 0.261 0.000
O: 0.500 0.739 0.000

Most intense lines, 15° ≤ 2θ ≤ 90°, most intense first:
h k l, 2θ (°), I/Imax
1 1 0, 17.5, 100
2 0 -1, 32.3, 68
0 2 0, 24.3, 54
2 0 1, 39.2, 39
1 1 1, 32.5, 37
2 2 -1, 40.8, 22

LiV4O5F7: theoretical X-ray diffraction stick pattern (Cu Kα (λ = 1.5418 Å)), based on a DFT-relaxed cell (GGA+U, the Materials Project).
Neutral-atom scattering factors, no anomalous dispersion.

Cell and atoms:
a = 5.161 Å, b = 5.412 Å, c = 7.518 Å
α = 92.99°, β = 90.03°, γ = 93.16°
Sites, in units of the cell vectors:
Li: 0.000 0.000 0.000
V: 0.470 0.896 0.303
V: 0.493 0.932 0.797
V: 0.955 0.408 0.312
V: 0.982 0.446 0.830
O: 0.200 0.745 0.856
O: 0.276 0.635 0.271
O: 0.696 0.209 0.345
O: 0.770 0.134 0.779
O: 0.906 0.430 0.055
F: 0.075 0.424 0.563
F: 0.184 0.119 0.235
F: 0.279 0.229 0.867
F: 0.374 0.950 0.551
F: 0.619 0.910 0.059
F: 0.688 0.630 0.751
F: 0.781 0.719 0.365

Most intense lines, 15° ≤ 2θ ≤ 90°, most intense first:
h k l, 2θ (°), I/Imax
1 1 0, 24.5, 100
1 -1 0, 23.2, 96
0 0 2, 23.7, 94
2 -2 0, 47.4, 23
0 0 4, 48.5, 19
1 -1 2, 32.8, 17

Copy entry 2 word for word.
LiV4O5F7: theoretical X-ray diffraction stick pattern (Cu Kα (λ = 1.5418 Å)), based on a DFT-relaxed cell (GGA+U, the Materials Project).
Neutral-atom scattering factors, no anomalous dispersion.

Cell and atoms:
a = 5.161 Å, b = 5.412 Å, c = 7.518 Å
α = 92.99°, β = 90.03°, γ = 93.16°
Sites, in units of the cell vectors:
Li: 0.000 0.000 0.000
V: 0.470 0.896 0.303
V: 0.493 0.932 0.797
V: 0.955 0.408 0.312
V: 0.982 0.446 0.830
O: 0.200 0.745 0.856
O: 0.276 0.635 0.271
O: 0.696 0.209 0.345
O: 0.770 0.134 0.779
O: 0.906 0.430 0.055
F: 0.075 0.424 0.563
F: 0.184 0.119 0.235
F: 0.279 0.229 0.867
F: 0.374 0.950 0.551
F: 0.619 0.910 0.059
F: 0.688 0.630 0.751
F: 0.781 0.719 0.365

Most intense lines, 15° ≤ 2θ ≤ 90°, most intense first:
h k l, 2θ (°), I/Imax
1 1 0, 24.5, 100
1 -1 0, 23.2, 96
0 0 2, 23.7, 94
2 -2 0, 47.4, 23
0 0 4, 48.5, 19
1 -1 2, 32.8, 17

=====

This entry pairs a crystal structure of Ba6Fe3Si8C2Cl3O30 with its calculated XRD peak list. Radiation: Cu Kα (weighted mean of Kα1 and Kα2). Structure: DFT lattice parameters and positions (GGA+U).
Peak positions follow from Bragg's law for the DFT cell and can differ from measured ones.

Crystal structure
Unit cell a=10.869 b=10.869 c=7.245 alpha=90.00 beta=90.00 gamma=120.00
Element x y z (fractional)
Ba (0.023, 0.511, 0.000)
Ba (0.171, 0.342, 0.479)
Ba (0.171, 0.829, 0.479)
Ba (0.489, 0.511, 0.000)
Ba (0.489, 0.977, 0.000)
Ba (0.658, 0.829, 0.479)
Fe (0.564, 0.127, 0.498)
Fe (0.564, 0.436, 0.498)
Fe (0.873, 0.436, 0.498)
Si (0.000, 0.000, 0.218)
Si (0.000, 0.000, 0.782)
Si (0.337, 0.168, 0.226)
Si (0.337, 0.169, 0.770)
Si (0.831, 0.169, 0.770)
Si (0.831, 0.663, 0.770)
Si (0.832, 0.168, 0.226)
Si (0.832, 0.663, 0.226)
C (0.333, 0.667, 0.345)
C (0.333, 0.667, 0.746)
Cl (0.165, 0.330, 0.052)
Cl (0.165, 0.835, 0.052)
Cl (0.670, 0.835, 0.052)
O (0.000, 0.000, 0.000)
O (0.164, 0.082, 0.705)
>>>
Return all of the data earlier on word for word.
MnCl2O2: theoretical X-ray diffraction stick pattern (Cu Kα (λ = 1.5418 Å)), based on a DFT-relaxed cell (GGA+U, the Materials Project).
Neutral-atom scattering factors, no anomalous dispersion.

Cell and atoms:
a = 7.119 Å, b = 7.320 Å, c = 3.643 Å
α = 90.00°, β = 100.67°, γ = 90.00°
Sites, in units of the cell vectors:
Mn: 0.000 0.000 0.000
Mn: 0.500 0.500 0.000
Cl: 0.245 0.000 0.558
Cl: 0.255 0.500 0.442
Cl: 0.745 0.500 0.558
Cl: 0.755 0.000 0.442
O: 0.000 0.239 0.000
O: 0.000 0.761 0.000
O: 0.500 0.261 0.000
O: 0.500 0.739 0.000

Most intense lines, 15° ≤ 2θ ≤ 90°, most intense first:
h k l, 2θ (°), I/Imax
1 1 0, 17.5, 100
2 0 -1, 32.3, 68
0 2 0, 24.3, 54
2 0 1, 39.2, 39
1 1 1, 32.5, 37
2 2 -1, 40.8, 22

LiV4O5F7: theoretical X-ray diffraction stick pattern (Cu Kα (λ = 1.5418 Å)), based on a DFT-relaxed cell (GGA+U, the Materials Project).
Neutral-atom scattering factors, no anomalous dispersion.

Cell and atoms:
a = 5.161 Å, b = 5.412 Å, c = 7.518 Å
α = 92.99°, β = 90.03°, γ = 93.16°
Sites, in units of the cell vectors:
Li: 0.000 0.000 0.000
V: 0.470 0.896 0.303
V: 0.493 0.932 0.797
V: 0.955 0.408 0.312
V: 0.982 0.446 0.830
O: 0.200 0.745 0.856
O: 0.276 0.635 0.271
O: 0.696 0.209 0.345
O: 0.770 0.134 0.779
O: 0.906 0.430 0.055
F: 0.075 0.424 0.563
F: 0.184 0.119 0.235
F: 0.279 0.229 0.867
F: 0.374 0.950 0.551
F: 0.619 0.910 0.059
F: 0.688 0.630 0.751
F: 0.781 0.719 0.365

Most intense lines, 15° ≤ 2θ ≤ 90°, most intense first:
h k l, 2θ (°), I/Imax
1 1 0, 24.5, 100
1 -1 0, 23.2, 96
0 0 2, 23.7, 94
2 -2 0, 47.4, 23
0 0 4, 48.5, 19
1 -1 2, 32.8, 17

Copy entry 2 word for word.
LiV4O5F7: theoretical X-ray diffraction stick pattern (Cu Kα (λ = 1.5418 Å)), based on a DFT-relaxed cell (GGA+U, the Materials Project).
Neutral-atom scattering factors, no anomalous dispersion.

Cell and atoms:
a = 5.161 Å, b = 5.412 Å, c = 7.518 Å
α = 92.99°, β = 90.03°, γ = 93.16°
Sites, in units of the cell vectors:
Li: 0.000 0.000 0.000
V: 0.470 0.896 0.303
V: 0.493 0.932 0.797
V: 0.955 0.408 0.312
V: 0.982 0.446 0.830
O: 0.200 0.745 0.856
O: 0.276 0.635 0.271
O: 0.696 0.209 0.345
O: 0.770 0.134 0.779
O: 0.906 0.430 0.055
F: 0.075 0.424 0.563
F: 0.184 0.119 0.235
F: 0.279 0.229 0.867
F: 0.374 0.950 0.551
F: 0.619 0.910 0.059
F: 0.688 0.630 0.751
F: 0.781 0.719 0.365

Most intense lines, 15° ≤ 2θ ≤ 90°, most intense first:
h k l, 2θ (°), I/Imax
1 1 0, 24.5, 100
1 -1 0, 23.2, 96
0 0 2, 23.7, 94
2 -2 0, 47.4, 23
0 0 4, 48.5, 19
1 -1 2, 32.8, 17

=====

This entry pairs a crystal structure of Ba6Fe3Si8C2Cl3O30 with its calculated XRD peak list. Radiation: Cu Kα (weighted mean of Kα1 and Kα2). Structure: DFT lattice parameters and positions (GGA+U).
Peak positions follow from Bragg's law for the DFT cell and can differ from measured ones.

Crystal structure
Unit cell a=10.869 b=10.869 c=7.245 alpha=90.00 beta=90.00 gamma=120.00
Element x y z (fractional)
Ba (0.023, 0.511, 0.000)
Ba (0.171, 0.342, 0.479)
Ba (0.171, 0.829, 0.479)
Ba (0.489, 0.511, 0.000)
Ba (0.489, 0.977, 0.000)
Ba (0.658, 0.829, 0.479)
Fe (0.564, 0.127, 0.498)
Fe (0.564, 0.436, 0.498)
Fe (0.873, 0.436, 0.498)
Si (0.000, 0.000, 0.218)
Si (0.000, 0.000, 0.782)
Si (0.337, 0.168, 0.226)
Si (0.337, 0.169, 0.770)
Si (0.831, 0.169, 0.770)
Si (0.831, 0.663, 0.770)
Si (0.832, 0.168, 0.226)
Si (0.832, 0.663, 0.226)
C (0.333, 0.667, 0.345)
C (0.333, 0.667, 0.746)
Cl (0.165, 0.330, 0.052)
Cl (0.165, 0.835, 0.052)
Cl (0.670, 0.835, 0.052)
O (0.000, 0.000, 0.000)
O (0.164, 0.082, 0.705)